Our consultants can effectively intervene and manage all sectors: corporate, banking, healthcare, associations and public administration. Likewise, they are able to understand and manage the bureaucracy of GDPR compliance for the SME the large enterprise and multinational corporations. All team members have completed the “Master of Certification and Specialization for Privacy Consultants and Privacy Officers.”
This is a list of all the services you will have available to you:
“GDPR Audit” and Declaration of Compliance with European Regulation 2016/679.
As a result of the activities carried out by our certified consultants, a document (GDPR Audit) will be issued in which the already existing, achieved or missing compliance with corrective and improvement actions will be indicated.
The RGPD Audit will be updated from year to year during the annual check session and will identify the corporate assessment.
Gap Analysys European Regulation 2016/679
For the purpose of allowing the client an initial and general assessment of its needs, the possibility of conducting a gap analysis by means of meetings of 1 or more days necessary to verify the status of the fulfillments to which the client is held:
- Disclosures to data subjects and management of processing consents
- Identification of internal figures (Persons in charge of specific duties and functions see internal coordinators/responsibilities, Designated Officers, System Administrators, Data Protection Officer) and external figures (External Managers)
- Instruction/training to be given to those assigned to specific duties and functions (coordinators/internal managers), designated employees, and system administrators
- adoption of security measures
- drafting of the treatment register
- data breach management
- management of data subjects’ rights
- Miscellaneous (e.g. Video surveillance, website, social, marketing, geolocation, etc…)
The ways in which the client has carried out these compliances are then examined, identifying any deficiencies or lack of compliance. Based on the information gathered, a report can be prepared that allows the client to check what the deviations are between the evidence gathered during the interviews and the applicable regulations.
Adaptation to the European Regulation 2016/679
Together with the client, a consulting plan is prepared and a strategy is studied with the aim of achieving full compliance with European Regulation 2016/679, Legislative Decree. 101/2018, the opinions, decisions and other documents on personal data protection issued by European Data Protection Board (EDPB), the data protection laws of the Member States where applicable to the Client, the policies, opinions, decisions and other documents issued by the local competent Supervisory Authority and the orders issued by the National Data Protection Authority.
The consulting plan enables the client to be able to process data correctly to better develop their business.
Counseling includes:
- Identification of processing (data mapping, source and purpose)
- Mapping of archives and verification of measures taken with indication of risk values
- Implementation of the principles of privacy by design and by default
- Drafting of agreements for External Managers (including Extra-EU), designation of persons in charge of specific duties and functions (internal coordinators/managers), designated officers, system administrators, and the Data Protection Officer (if any);
- Preparation of policies and disclosures addressed to various stakeholders (suppliers, customers, agents, consultants, etc.)
- Preparation of disclosures addressed to employees, resumes, temporary workers, interns and/or trainees and any other type of interested party and the policy necessary for proper management of disclosures, company tools in line with the provisions of the Workers’ Statute
- Preparation of policy and disclosures addressed to clients and potential clients for proper management/consent collection
- Preparation of the treatment register
- Preparation of the policy for the management of data subjects’ rights
=====
C20H19F3N4O3S2 as an isolated structure at a distorted geometry. Source: the Open Molecules 2025 dataset; level of theory: wB97M-V/def2-TZVPD.

Geometry (Å):
C: 4.33 -0.31 2.87
C: 4.39 1.24 3.21
O: 3.07 1.80 3.03
C: 2.88 2.33 1.72
C: 2.29 1.32 0.68
C: 1.32 0.25 0.97
N: 0.84 0.18 2.37
C: 0.11 1.14 2.64
S: -0.50 2.57 3.11
C: 0.81 -0.75 -0.08
C: -0.19 -1.86 0.40
C: -1.45 -2.08 -0.53
C: -2.78 -2.35 0.29
O: -2.74 -2.72 1.46
N: -4.11 -2.22 -0.31
C: -4.62 -0.86 -0.24
C: -6.08 -0.71 0.06
C: -6.66 0.66 0.16
C: -5.87 1.90 -0.02
C: -4.43 1.74 -0.32
C: -3.83 0.38 -0.41
C: 1.31 -0.63 -1.47
C: 0.88 -1.63 -2.59
F: 1.80 -1.64 -3.64
F: -0.33 -1.29 -3.19
F: 0.86 -2.95 -2.13
C: 2.27 0.48 -1.80
N: 2.87 0.84 -3.01
S: 3.86 2.17 -2.78
N: 3.67 2.46 -1.14
C: 2.78 1.46 -0.76
H: 4.42 -0.48 1.76
H: 3.35 -0.70 3.28
H: 5.16 -0.80 3.47
H: 4.61 1.32 4.32
H: 5.21 1.80 2.69
H: 3.86 2.70 1.30
H: 2.24 3.27 1.84
H: -0.59 -1.52 1.41
H: 0.33 -2.84 0.62
H: -1.64 -1.25 -1.26
H: -1.27 -3.05 -1.10
H: -4.73 -2.76 0.31
H: -6.70 -1.64 0.19
H: -7.76 0.72 0.36
H: -6.30 2.93 0.04
H: -3.81 2.67 -0.44
H: -2.73 0.34 -0.61
O: 3.22 -0.28 -5.87
H: 3.08 -0.12 -4.93
H: 3.29 -1.23 -5.95

For the electronic energy, the calculation gives -2314.0736 a.u. For the HOMO energy, the calculation gives -0.3153 Ha. The value obtained for the energy relative to the best compared isomer or geometry (same formula, charge and spin) is 4.176 eV. The molar mass is 484.52 u.

~~~~~

Density functional theory data (wB97M-V/def2-TZVPD) for a 10-piece molecular cluster, C39H64N10O13 overall at a distorted geometry.

The calculation puts the energy above the lowest of the compared OMol25 structures with the same formula, charge and spin at 573.9 kcal per mole. The value obtained for the LUMO energy is -1.127 eV. The value obtained for the total energy is -82968.1789 eV. The total charge is 0. Its spin multiplicity is 1. The calculation puts the orbital gap at 7.91 eV.

Each line ends with the Mulliken charge.
Cartesian coordinates (Å):
1 O 0.01213 -5.66425 -3.73462  -0.61
2 N 0.42271 -6.05037 -2.58104  0.92
3 O 1.05028 -7.00212 -2.48062  -0.55
4 C 0.39806 -5.04730 -1.50174  -0.38
5 C -0.04806 -3.60642 -1.87614  -0.33
6 C -0.35849 -2.64708 -0.72843  0.58
7 C -0.19962 -3.19567 0.71533  0.07
8 C 0.28721 -4.39875 1.12370  0.06
9 C 0.71645 -5.43135 0.01001  -0.76
10 H -0.40456 -3.25463 -2.94708  0.37
11 H -0.57954 -1.62826 -0.93879  0.08
12 H -0.66429 -2.53324 1.43166  -0.20
13 H 0.45252 -4.64510 2.31354  0.37
14 H 0.97755 -6.57786 0.24847  0.30
15 O -4.68056 -1.28670 -0.44689  -0.57
16 N -5.23194 -2.40985 -0.59757  1.04
17 O -6.06093 -2.54933 -1.46711  -0.59
18 C -4.93901 -3.51864 0.23903  -0.25
19 C -3.55977 -3.42741 1.07737  0.56
20 C -3.17658 -4.75242 1.97124  -0.45
21 C -4.13918 -5.93750 1.89597  -0.52
22 C -5.27370 -6.03182 1.12353  -0.54
23 C -5.70073 -4.80347 0.14737  -0.56
24 H -3.06754 -2.67385 0.96466  0.29
25 H -2.39073 -4.88905 2.71155  0.41
26 H -4.04804 -6.84721 2.47375  0.34
27 H -5.76192 -6.88096 1.30757  0.48
=====
- Preparation of policy for handling personal data breaches
- Staff training and continuing education, organization of events, seminars and conferences
- Checking and adapting the company website (if any)
- Verification and adjustment of hyideosurveillance, biometrics, geolocation (if any)
- Opinion on the issues of data retention time and measures to be taken
- Other types of documentation and/or insights that emerged from the consultation plan
Video surveillance
Even with the entry into force of the European Regulation, the Supervisor’s Order of April 8, 2010 is still in force. The proper installation of cameras, recording equipment and drafting of documentation allows the Holder to be able to use the images without incurring penalties. If, on the contrary, the images were acquired without following the procedure, they are unusable for evidentiary or other uses. The consulting service includes the verification and/or preparation of the mandatory documentation for the management of compliance related to the current Guarantor’s Measure, through the drafting of the mandatory documents, such as:
- Preliminary analysis
- Preliminary authorization (if required)
- Disclosure
- Appointments Managers and appointees
- Rules of Procedure
- Training
- Positioning of Cameras and Duration of Recordings
- Security measures
- Miscellaneous
Staff training
Training activities aimed at designated employees is one of the obligations under the European Regulation (Art. 32 – Art. 28 ) . In addition, any internal changes must be followed by updated staff training. The service is provided at the client’s premises, or at CAST‘s headquarters; refresher and training courses can, also, be organized specifically for type of designated employee (designated to specific duties and functions – internal coordinators/managers , marketing, staff, system administrators.). During the course, issues on the processing and security of personal data are covered and instructions on how to process them are given. Typical contents of a basic training intervention include:
- The principles and definitions of European Regulation 2016/679;
- the main figures: data subjects, Data Protection Officer, Data Processors, designated to specific duties and functions (internal coordinators/managers), designated employees, and System Administrators
- The obligation to provide information and collect consent;
- Instructions to employees (including use of client’s equipment, internet, e-mail, mobile, etc.).
- The adoption of security measures and consequent behaviors
- The internal management of data subjects’ rights
- The internal management of personal data breach.
At the end of the training sessions, a questionnaire will be given to each participant to be duly filled out by him/her. In case of incorrect answers these will be reported by the counselor directly to the participant. At the request of the Holder, a training certificate valid for the purposes of European Regulation 2016/679 may also be issued to each participant.
Training can, moreover, be tailored to specific client requests and needs and is characterized by a highly concrete, problem-solving approach.
Marketing management
The collection of data for marketing purposes must necessarily follow the criteria outlined in current regulations. Compliance with regulations allows the client to avoid errors, inaccuracies, and omissions that directly expose them to heavy penalties and possible total or partial deletion of the database present in the company. The consultancy aims to ‘shed light on the correct ways to collect data, profiling, manage e-commerce, CRM and projects involving targeted advertising, targeting and online behavioral advertising.
Data Protection Officer
CAST offers the service of Data Protection Officer with an experienced team that will perform on behalf of the client the tasks required by Art. 39 of the GDPR.
The services offered, by way of example, are:
- Inform and advise on obligations under current regulations
- Oversee compliance with the European Regulations of other national regulations
- Supervise that the Data Controller complies with the requirements of the European Regulations and raise awareness among its employees
- Provide advice on the data protection impact assessment and oversee its conduct
- Cooperate with the supervisory authority and serve as its point of contact, including in cases of prior consultation and personal data breaches.
GDPR Post-Compliance Support Services
In order to enable continuous and proper management of regulatory compliance and developments CAST provides an annual support service that includes:
- consulting/assistance at the client’s site or at CAST headquarters for document verification, regulatory adjustments, and training of designated employees;
- Deadline management;
- annual telephone/ e-mail support and counseling;
- Free participation in our refresher seminars valid for mandatory training;
- Data protection newsletter: news, regulatory adjustments, solved practical cases, pronouncements on European Regulation, etc…
On-demand counseling (on documentation already in the client’s possession) at the client’s location or via computer
On-demand consulting involves the provision of all services necessary to achieve compliance with the requirements of the European Regulation : verification, correction of documentation already used by the client, possible generation of missing mandatory documentation. For more details on the activities, please refer to “Compliance with European Regulation 2016/679.”
Counseling through the use of Privacylab software (including via telematics)
Since 2004 CAST, in addition to offering ad hoc consulting services for every need and all the services necessary to be in compliance with the European Regulation and current regulations (see “compliance with the European Regulation 2016/679”), is able to support the client with the Privacylab product that solves and simplifies the generation of the documentation required by the European Regulation 2016/679. The choice of the product came about to keep consulting costs down and to enable clients to have up-to-date records management.
Distance counseling
To cut down on travel costs, all consulting and/or support services can be delivered through the use of video conferencing tools, such as Skype, Meet, Teams, etc.
Integrated Services
In an increasingly complex regulatory environment involving in cross-cutting responsibilities, there has been an increase in companies wanting to provide integrated services to their clients.
The Privacy Division is able to assist companies that wish to include quality privacy consulting as part of their integrated services.
The autonomy, ‘experience and skills demonstrated over the years allow us to propose various formulas of collaboration:
- Consulting on behalf of the requesting company, either on-site or at the client’s premises;
- Consulting directly and on behalf of the requesting company, either on-site or at the client’s premises.
In addition, we offer our cooperation to privacy consultants outside the Privacylab circuit to give them assistance in using the software and certified consultations.